Toespraak eurocommissaris Piebalgs op Honger Top (en)

Let me begin by thanking Prime Minister David Cameron for inviting me to this Global Event on Nutrition - a welcome initiative reflecting the growing commitment among Heads of State and stakeholders all over the world to step up global efforts to combat the persistent curse of undernutrition.

The EU and myself personally are strongly committed to catalysing real and permanent change in this area. I have seen the effects of undernutrition and stunting. It is a terrible and tragic thing to witness.

But my commitment here is more than an emotional response to witnessing such personal tragedy; dealing with undernutrition is a first and basic precondition to creating the conditions for development and growth to take root; it is vital to equip the world's poorest with the chances to pull themselves out of poverty.

It is a simple fact that no society has succeeded in emerging from poverty without the ability to feed itself. The Commission has therefore been stepping up funding to combat undernutrition over recent years.

Let me just mention two example of our recent actions. We recently launched the so called MDG initiative in order to help our partner countries to close the gap on the most off-track Millennium Development Goals. We will focus mainly on the MDGs related to hunger and child mortality and we have already allocated 225 million euro to that end.

Also, as science and innovation is critical to combat undernutrition we will invest 3 million euro in HarvestPlus to develop rich seeds and tubers to benefit the poor in Africa and India. And we will continue to do much more.

'''
(1)
Below is C22H27N7O3Tl as an isolated structure, with properties calculated with ωB97M-V/def2-TZVPD.

Last column: Mulliken charge in e.
Geometry (Å):
C -1.0161 4.6935 3.0853  -0.9307
H -0.9223 5.4976 0.5048  0.3457
C 1.1751 -3.0160 -2.2395  0.8660
H 4.7182 -1.3903 2.4305  0.3845
H -4.5479 1.9308 0.7017  0.4884
H 4.4126 -0.7488 -0.1224  0.4393
H 3.5978 -2.2904 0.2005  0.3332
C -4.5049 1.7643 -0.3714  -0.2574
C 4.0703 -0.5157 2.4518  -1.1336
H -1.2285 3.8976 -0.2041  0.2936
H 1.5178 -0.5818 3.7503  0.4230
H 2.7196 -0.9802 -0.6058  0.2662
C -0.2438 1.9649 3.1850  -1.0611
H 0.6197 2.4939 3.5913  0.4312
C 0.0164 -2.2493 -1.7420  0.3080
C -1.4226 4.5407 0.6462  -1.0658
C 0.0384 -3.4961 0.2015  -0.4133
H 1.3272 -2.0248 -4.1222  0.4883
C -3.4796 0.6862 -2.1082  0.8461
C 3.4627 -1.2064 0.1510  -1.1365
N -1.4464 -0.5606 -1.8401  0.2846
C -5.3320 2.1196 -2.5725  -0.2559
H -0.3275 4.3446 3.8496  0.3535
O -0.6903 1.9044 0.8248  -0.6517
H 1.4558 -4.9454 0.4194  0.2361
C 2.8406 -3.5380 -3.8997  -0.7928
C -5.4118 2.3874 -1.2163  -0.7839
H 3.6533 -0.4437 3.4516  0.4312
C 2.8101 -4.7577 -1.8237  -0.8513
C 1.7538 -2.7927 -3.4895  -0.3004
H -4.2552 1.0152 -4.0800  0.3808
N 3.0333 -0.6704 1.4390  0.1205
H -1.0664 2.0921 3.8883  0.4408
H -6.1633 3.0578 -0.8170  0.3929
N -3.5598 0.9342 -0.7984  -0.0311
C 1.7234 -0.4021 1.6340  0.8622
H 2.0312 1.0206 3.2308  0.5841
C -2.4034 -0.2078 -2.5887  -0.5558
H -6.0234 2.5798 -3.2674  0.4279
C 3.3686 -4.5225 -3.0622  -0.4394
N 1.1181 -4.2064 -0.1711  0.1107
H 4.2213 -5.1088 -3.3839  0.4184
N -0.9169 3.9062 1.8598  0.0545
C -4.3521 1.2515 -3.0264  -0.8155
H 3.2804 -3.3640 -4.8734  0.4237
C 1.7128 -4.0013 -1.4202  0.0769
N -0.5238 -2.5698 -0.4943  -0.4134
H -2.4990 4.7169 0.7216  0.3638
H -0.7569 5.7245 2.8576  0.3042
H -0.3716 -3.7489 1.1766  0.3901
H 4.6842 0.3662 2.2628  0.3152
H 3.2142 -5.5229 -1.1686  0.4018
H -2.0298 4.6811 3.4944  0.3032
O 0.0139 0.5878 3.0895  -0.3405
O 0.8856 -0.6247 0.7678  -0.4359
Tl -1.8039 -0.6111 0.8794  0.9542
C 1.3598 0.1919 2.9977  -1.3352
C -0.6391 2.5819 1.8437  1.0251
N -0.4599 -1.3012 -2.4522  -0.9251
H -2.4385 -0.5333 -3.6271  0.3562

LUMO energy	-0.08889	hartree
energy relative to the best compared isomer or geometry (same formula, charge and spin)	2.1	kcal/mol
net charge	+1
frontier orbital gap	0.2962	Ha

(2)
Below is a 2-piece molecular cluster, C20H23Cl2N5O4 overall in a non-equilibrium geometry, with properties calculated with ωB97M-V/def2-TZVPD.

Last column: Mulliken charge in e.
Geometry (Å):
H -4.2503 3.3009 -1.0669  0.3486
H -1.5876 -3.3317 2.6571  0.3476
C 1.7817 -1.6336 3.5986  -0.6982
H -0.4497 1.5102 -1.5620  0.3058
C 1.5609 -1.9858 2.1449  0.3802
H 1.2521 3.3969 -3.2088  0.4585
N 0.1849 -2.4345 1.8736  0.1940
H -0.1071 -4.2953 2.8644  0.3269
C -1.2958 -3.7747 -1.0950  -0.4865
H -3.5748 3.4737 -2.6958  0.2087
N -1.0063 -3.5719 0.1957  -0.5690
C 0.4809 -1.8267 -0.4355  0.9445
H 3.2879 -2.8097 6.4232  0.4176
C 2.7009 -2.1584 5.7840  -0.6084
C -0.7138 -3.0195 -2.1125  -0.6302
'''

Indeed, in its recent review of development priorities, the Agenda for Change, the Commission has identified food security, including nutrition, to be a key priority for EU development spending up to 2020.

But this is not just about establishing priorities, it is about improving the way we work, turning funding into results on the ground. In this respect, I believe that the Scaling Up Nutrition initiative can really drive change.

# Between two parts of the entry: calculated molecules
____________
(1)
# C46H48ClN6O7STeZr

A structure of composition C46H48ClN6O7STeZr in a non-equilibrium geometry (ωB97M-V with the def2-TZVPD basis set, the Open Molecules 2025 dataset).

The geometry in ORCA input format:
```
! RIJCOSX wB97M-V def2-TZVPD def2/J DEFGRID3
* xyz 1 1
Zr 0.657 0.117 0.466
C -2.581 -0.286 -1.279
N -1.735 0.913 -1.284
C -2.395 1.916 -0.434
C -1.753 1.508 -2.646
C -1.079 0.776 -3.794
N 0.341 1.041 -3.983
C 0.649 2.460 -4.105
C 0.782 0.338 -5.182
H -3.615 -0.041 -1.556
H -2.594 -0.731 -0.286
H -2.211 -1.025 -1.987
H -3.380 2.176 -0.842
H -1.790 2.818 -0.383
H -2.541 1.527 0.574
H -1.355 2.518 -2.562
H -2.812 1.629 -2.916
H -1.634 1.065 -4.703
H -1.212 -0.305 -3.698
H 0.018 2.968 -4.852
H 1.687 2.571 -4.418
H 0.542 2.981 -3.153
H 0.277 0.709 -6.086
H 0.571 -0.728 -5.093
H 1.856 0.466 -5.319
C -2.426 4.214 5.447
C -1.766 3.614 4.238
C -1.372 4.401 3.162
C -0.732 3.884 2.035
C -0.262 4.767 0.909
O 0.816 4.550 0.400
C -1.158 5.854 0.434
C -2.543 5.767 0.555
C -3.349 6.770 0.039
C -2.770 7.870 -0.579
C -1.389 7.962 -0.698
C -0.583 6.951 -0.204
C -0.490 2.521 1.994
O 0.072 1.905 0.908
C -0.895 1.703 3.062
C -1.525 2.241 4.170
C -0.502 0.296 2.808
N 0.749 -0.006 2.699
C 1.775 0.847 3.318
C 2.839 -0.052 3.923
Te 2.106 -1.279 5.518
C 1.302 -2.795 4.286
C 0.035 -3.299 4.570
C -0.451 -4.400 3.874
C 0.306 -4.981 2.866
C 1.558 -4.463 2.559
C 2.062 -3.389 3.282
C -1.460 -0.695 2.270
C -2.835 -0.473 2.416
C -3.732 -1.455 2.038
C -3.274 -2.640 1.468
C -1.916 -2.850 1.273
C -1.002 -1.892 1.691
H -2.589 5.282 5.319
H -1.810 4.072 6.336
H -3.392 3.746 5.641
H -1.560 5.468 3.198
H -2.997 4.911 1.040
H -4.425 6.698 0.122
H -3.399 8.658 -0.971
H -0.943 8.822 -1.179
H 0.494 6.998 -0.302
H -1.810 1.597 4.995
H 1.318 1.474 4.084
H 2.207 1.514 2.562
H 3.645 0.553 4.337
H 3.272 -0.724 3.184
H -0.568 -2.851 5.351
H -1.423 -4.806 4.126
H -0.065 -5.848 2.333
H 2.161 -4.921 1.785
H 3.066 -3.042 3.074
H -3.185 0.456 2.847
H -4.793 -1.300 2.181
H -3.980 -3.407 1.177
H -1.562 -3.777 0.840
H 0.061 -2.155 1.657
O 1.765 -8.049 -2.343
S 1.149 -7.822 -3.641
O -0.211 -7.323 -3.580
O 1.415 -8.812 -4.651
C 2.102 -6.356 -4.144
N 3.244 -6.474 -4.831
C 3.960 -5.374 -4.998
C 3.592 -4.133 -4.476
C 2.382 -4.122 -3.807
N 1.642 -5.210 -3.665
C 1.813 -2.952 -3.094
C 0.665 -3.182 -2.322
C 0.172 -2.177 -1.544
N 0.725 -0.941 -1.496
C 1.765 -0.694 -2.314
C 2.342 -1.665 -3.105
H 4.882 -5.480 -5.561
H 4.225 -3.264 -4.589
H 0.211 -4.165 -2.352
H -0.698 -2.339 -0.923
H 2.174 0.305 -2.291
H 3.202 -1.410 -3.708
Cl 4.984 -2.151 -0.560
C 4.630 -0.689 0.368
C 3.150 -0.467 0.442
O 2.333 -1.363 0.745
O 2.665 0.711 0.194
H 5.108 0.172 -0.088
H 5.008 -0.823 1.383
*
```

Computed properties:
* LUMO: -5.366 eV
* energy above the lowest of the compared OMol25 structures with the same formula, charge and spin: 64.5 kcal per mole
* maximum force: 1.16 eV/A


(2)
# C4H8NO
____________

It is important that such expressions of determination are translated into real results that people can measure, and on which the world's poorest can rely upon.

A new global target to reduce the number of stunted children by 70 million by 2025 has been agreed by the World Health Assembly.

I would therefore like to announce that the Commission will accept responsibility for supporting our partner countries so that at least 10% of this target, at least 7 million children, is met through programmes funded by the European Commission.

In recent months I have sensed that a tide has turned in the fight against under nutrition; we now have before us a number of opportunities; the SUN initiative, an increasing focus and realisation by developing countries for the need for long term sustainable and resilient agricultural strategies based on partnership between donors and governments, the push towards the completion of the MDG goals, and indeed the launch of the discussions for the post MDG approach after 2015, which I am sure we all agree that under nutrition should be a key focus.

Today's conference represents an important stepping stone to realising the aim of a hunger free world; step by step, action by action.

The renewed determination that we have seen today to dealing with stunting will make a real difference, will create chance and opportunity for millions that would otherwise be condemned, at birth, to a life of poverty.

I have no doubt that we can indeed use this event as a spring board to continue to make progress in the months ahead. We must do so and you can count on the European Commission to play its full part.

Thank you.